Exercise =
Transcribe only the lines below with the word "cell" in them.

Input =
~~~
# GGA+U Nd2Co2O5, optimized geometry
# * electronic total energy: -62.504 eV/cell
# * crystal system: tetragonal
data_Nd2Co2O5
_cell_length_a 3.887
_cell_length_b 3.887
_cell_length_c 7.196
_cell_angle_alpha 90.00
_cell_angle_beta 90.00
_cell_angle_gamma 90.00
_space_group_name_H-M_alt 'P 4/m m m'
_space_group_IT_number 123
_space_group_name_Hall '-P 4 2'
loop_
_atom_site_label
_atom_site_fract_x
_atom_site_fract_y
_atom_site_fract_z
Nd1 0.000 0.000 0.000
Nd2 0.000 0.000 0.500
Co1 0.500 0.500 0.223
O1 0.000 0.500 0.218
O2 0.500 0.500 0.500


(1)
# BaCdAs2Se, PBEsol geometry, DFT meta-GGA SCAN
data_BaCdAs2Se
_chemical_formula_sum 'Ba1 Cd1 As2 Se1'
_symmetry_space_group_name_H-M 'P 4/m m m'
_symmetry_Int_Tables_number 123
_symmetry_space_group_name_Hall '-P 4 2'
_cell_length_a 5.116
_cell_length_b 5.116
_cell_length_c 5.351
_cell_angle_alpha 90.00
_cell_angle_beta 90.00
_cell_angle_gamma 90.00
loop_
_atom_site_label
_atom_site_fract_x
_atom_site_fract_y
_atom_site_fract_z
Ba1 0.000 0.000 0.000
Cd1 0.500 0.500 0.500
As1 0.000 0.500 0.500
Se1 0.500 0.500 0.000
# * uncorrected formation energy: -269 meV/atom
# * distance to the lowest polymorph of the same formula: 0.0 kJ per mole of atoms
# * volume: 140 Å³ per cell
# * Fermi-level density of states: 0.8359 states/eV per atom

---

(2)
# CoNiRh2, PBEsol geometry, DFT meta-GGA SCAN
data_CoNiRh2
_chemical_formula_sum 'Co2 Ni2 Rh4'
_symmetry_space_group_name_H-M 'I -4 m 2'
_symmetry_Int_Tables_number 119
_symmetry_space_group_name_Hall 'I -4 -2'
_cell_length_a 3.601
_cell_length_b 3.601
_cell_length_c 7.403
_cell_angle_alpha 90.00
_cell_angle_beta 90.00
_cell_angle_gamma 90.00
loop_
_atom_site_label
_atom_site_fract_x
_atom_site_fract_y
_atom_site_fract_z
Co1 0.000 0.000 0.000
Ni1 0.000 0.500 0.750
Rh1 0.000 0.000 0.500
Rh2 0.000 0.500 0.250
# * distance to the lowest polymorph of the same formula: 3.3 kJ per mole of atoms
# * volume: 96 Å³ per cell
# * Fermi-level density of states: 1.1352 states/eV per atom

---

(3)
# Sr2CaZnH, PBEsol geometry, DFT meta-GGA SCAN
data_Sr2CaZnH
_chemical_formula_sum 'Sr2 Ca1 Zn1 H1'
_symmetry_space_group_name_H-M 'P 4/m m m'
_symmetry_Int_Tables_number 123
_symmetry_space_group_name_Hall '-P 4 2'
_cell_length_a 5.368
_cell_length_b 5.368
_cell_length_c 4.655
_cell_angle_alpha 90.00
_cell_angle_beta 90.00
_cell_angle_gamma 90.00
loop_
_atom_site_label
_atom_site_fract_x
_atom_site_fract_y
_atom_site_fract_z
Sr1 0.000 0.500 0.000
Ca1 0.000 0.000 0.500
Zn1 0.500 0.500 0.500
H1 0.000 0.000 0.000
# * total DFT energy (no corrections): -14.375 eV per atom
# * volume: 134 Å³ per cell
# * Fermi-level density of states: 0.6848 states/eV per atom

---

(4)
# TaCd2Os, PBEsol geometry, DFT meta-GGA SCAN
data_TaCd2Os
_chemical_formula_sum 'Ta2 Cd4 Os2'
_symmetry_space_group_name_H-M 'I m m m'
_symmetry_Int_Tables_number 71
_symmetry_space_group_name_Hall '-I 2 2'
_cell_length_a 3.186
_cell_length_b 4.471
_cell_length_c 9.717
_cell_angle_alpha 90.00
_cell_angle_beta 90.00
_cell_angle_gamma 90.00
loop_
_atom_site_label
_atom_site_fract_x
_atom_site_fract_y
_atom_site_fract_z
Ta1 0.000 0.000 0.000
Cd1 0.000 0.500 0.240
Os1 0.000 0.000 0.500
# * distance to the lowest polymorph of the same formula: 22.9 kJ per mole of atoms
# * volume: 138 Å³ per cell
# * Fermi-level density of states: 0.4579 states/eV per atom

---

(5)
# SiMoSe2, PBEsol geometry, DFT meta-GGA SCAN
data_SiMoSe2
_chemical_formula_sum 'Si1 Mo1 Se2'
_symmetry_space_group_name_H-M 'P 4 m m'
_symmetry_Int_Tables_number 99
_cell_length_a 3.164
_cell_length_b 3.164
_cell_length_c 7.055
_cell_angle_alpha 90.00
_cell_angle_beta 90.00
_cell_angle_gamma 90.00
loop_
_symmetry_equiv_pos_as_xyz
'x,y,z'
'-y,x,z'
'-x,-y,z'
'y,-x,z'
'-x,y,z'
'y,x,z'
'x,-y,z'
'-y,-x,z'
loop_
_atom_site_label
_atom_site_fract_x
_atom_site_fract_y
_atom_site_fract_z
Si1 0.000 0.000 0.000
Mo1 0.500 0.500 0.192
Se1 0.000 0.000 0.401
Se2 0.500 0.500 0.816
# * uncorrected formation energy: -117 meV/atom
# * volume: 71 Å³ per cell
~~~

Worked solution =
# * electronic total energy: -62.504 eV/cell
# * volume: 140 Å³ per cell
# * volume: 96 Å³ per cell
# * volume: 134 Å³ per cell
# * volume: 138 Å³ per cell
# * volume: 71 Å³ per cell